[What to do]
Count the lines further below that contain the word "Calculated" and give the number alone.

[Contents]
<<<
Calculated powder diffraction line list
Compound: YZr2SiC
Radiation: λ = 1.5418 Å (Cu Kα)
Structure: a cell relaxed with GGA-PBE
Kinematic intensities with the Lorentz-polarization factor, no thermal factor.

Principal peaks in the range 15 to 90 degrees two-theta, in order of rising 2θ:
index, d [Å], 2θ/deg, intensity
0 0 1, 4.769, 18.6, 81
1 0 0, 4.499, 19.7, 124
1 1 1, 2.647, 33.9, 1000
0 0 2, 2.385, 37.7, 212
2 0 0, 2.250, 40.1, 355
2 0 2, 1.636, 56.2, 254
2 2 0, 1.591, 58.0, 119
1 1 3, 1.422, 65.7, 146
3 1 1, 1.363, 68.9, 243
2 2 2, 1.323, 71.3, 122

a b c (Å): 4.4993 4.4993 4.7693
angles (deg): 90.00 90.00 90.00
Space group P4/mmm (No. 123)
Inequivalent atoms, fractional coordinates:
Y  0.0000  0.0000  0.0000 x1
Zr  0.0000  0.5000  0.5000 x2
Si  0.5000  0.5000  0.0000 x1
C  0.0000  0.0000  0.5000 x1

Calculated powder diffraction line list
Compound: Ce3ErIr
Radiation: λ = 1.5418 Å (Cu Kα)
Structure: a cell relaxed with GGA-PBE
Kinematic intensities with the Lorentz-polarization factor, no thermal factor.

Principal peaks in the range 15 to 90 degrees two-theta, in order of rising 2θ:
index, d [Å], 2θ/deg, intensity
1 0 1, 4.666, 19.0, 216
1 1 1, 3.781, 23.5, 285
0 0 2, 3.069, 29.1, 207
2 1 1, 2.794, 32.0, 1000
0 1 2, 2.771, 32.3, 161
1 2 1, 2.654, 33.8, 273
0 2 2, 2.224, 40.6, 230
2 1 2, 2.194, 41.1, 239
1 3 0, 2.060, 43.9, 162
2 1 3, 1.714, 53.5, 193

a b c (Å): 7.1824 6.4527 6.1377
angles (deg): 90.00 90.00 90.00
Space group Pmn2_1 (No. 31)
Inequivalent atoms, fractional coordinates:
Ce  0.0000  0.0752  0.0000 x2
Ce  0.2413  0.7328  0.0023 x4
Er  0.0000  0.7785  0.5073 x2
Ir  0.0000  0.4463  0.2221 x2

Calculated powder diffraction line list
Compound: Tb2CeNdDy
Radiation: λ = 1.5418 Å (Cu Kα)
Structure: a cell relaxed with GGA-PBE
Kinematic intensities with the Lorentz-polarization factor, no thermal factor.

Principal peaks in the range 15 to 90 degrees two-theta, in order of rising 2θ:
index, d [Å], 2θ/deg, intensity
0 1 2, 3.188, 28.0, 278
1 2 1, 2.999, 29.8, 1000
2 0 0, 2.963, 30.2, 243
1 1 2, 2.807, 31.9, 422
2 0 1, 2.725, 32.9, 170
2 1 1, 2.581, 34.8, 281
2 0 2, 2.254, 40.0, 155
2 3 1, 1.910, 47.6, 229
3 2 1, 1.717, 53.3, 197
2 2 3, 1.661, 55.3, 218

a b c (Å): 5.9250 8.0329 6.9457
angles (deg): 90.00 90.00 90.00
Space group Pmma (No. 51)
Inequivalent atoms, fractional coordinates:
Tb  0.2500  0.2039  0.1876 x4
Ce  0.0000  0.5000  0.5000 x2
Nd  0.2500  0.0000  0.6642 x2
Dy  0.2500  0.5000  0.9046 x2

Calculated powder diffraction line list
Compound: La3Ni2Sn4
Radiation: λ = 1.5418 Å (Cu Kα)
Structure: a cell relaxed with GGA-PBE
Kinematic intensities with the Lorentz-polarization factor, no thermal factor.

Principal peaks in the range 15 to 90 degrees two-theta, in order of rising 2θ:
index, d [Å], 2θ/deg, intensity
3 1 0, 2.962, 30.2, 545
1 1 2, 2.952, 30.3, 1000
4 0 -1, 2.926, 30.6, 435
0 0 3, 2.907, 30.8, 269
0 2 0, 2.313, 38.9, 392
3 1 -3, 2.255, 40.0, 635
4 0 2, 2.215, 40.7, 304
4 2 -1, 1.815, 50.3, 217
4 2 2, 1.600, 57.6, 220
7 1 -1, 1.585, 58.2, 211

a b c (Å): 11.8092 4.6261 8.9019
angles (deg): 90.00 101.53 90.00
Space group C2/m (No. 12)
Inequivalent atoms, fractional coordinates:
La  0.0000  0.0000  0.0000 x2
La  0.1526  0.5000  0.6581 x4
Ni  0.0921  0.5000  0.2780 x4
Sn  0.0696  0.0000  0.3805 x4
Sn  0.2217  0.5000  0.0848 x4
>>>

[Response]
4